• Data:
<<<
{
  "formula": "C41H46AsF6N4Pt",
  "method": "wB97M-V/def2-TZVPD",
  "species": ["Pt", "C", "C", "C", "C", "C", "C", "C", "C", "C", "C", "C", "C", "N", "C", "C", "N", "C", "C", "C", "C", "C", "C", "C", "C", "C", "C", "C", "C", "C", "C", "C", "C", "C", "C", "C", "C", "C", "C", "H", "H", "H", "H", "H", "H", "H", "H", "H", "H", "H", "H", "H", "H", "H", "H", "H", "H", "H", "H", "H", "H", "H", "H", "H", "H", "H", "H", "H", "H", "H", "H", "H", "H", "H", "H", "H", "H", "H", "H", "F", "As", "F", "F", "F", "F", "F", "N", "C", "C", "C", "C", "C", "N", "H", "H", "H", "H", "H", "H"],
  "coordinates": [[0.193996, -0.008198, -0.119630], [-2.547420, 2.495097, 2.208127], [-2.121552, 1.068681, 2.570670], [-3.249328, 0.345530, 3.314129], [-0.834275, 1.068052, 3.373481], [-0.792056, 1.794018, 4.558914], [0.359040, 1.850213, 5.318013], [1.491870, 1.168897, 4.907270], [1.519370, 0.410696, 3.739849], [2.826560, -0.292277, 3.422655], [3.629187, 0.539195, 2.423851], [2.715273, -1.770149, 3.049285], [0.333185, 0.381364, 2.987488], [0.153831, -0.501977, 1.844547], [-0.403069, -1.642706, 2.074462], [-0.922955, -2.389151, 0.890810], [-0.846880, -1.779603, -0.242874], [-1.609144, -2.336114, -1.365068], [-3.013956, -2.239007, -1.288653], [-3.740425, -2.850805, -2.305841], [-3.123800, -3.509265, -3.352963], [-1.740515, -3.601565, -3.382451], [-0.951745, -3.040866, -2.384232], [0.544035, -3.308749, -2.479247], [1.314240, -2.083304, -2.968942], [1.140273, -3.975078, -1.237595], [-3.825931, -1.530555, -0.209762], [-4.629787, -2.509330, 0.657969], [-4.815466, -0.531242, -0.830167], [-1.428213, -3.655049, 1.345066], [-1.946309, -4.782233, 0.747307], [-2.304364, -5.863824, 1.576191], [-2.177202, -5.812553, 2.947382], [-1.653091, -4.659861, 3.590063], [-1.459385, -4.456086, 4.980073], [-0.928305, -3.278142, 5.461186], [-0.544833, -2.226012, 4.608879], [-0.717673, -2.397767, 3.251321], [-1.282178, -3.609417, 2.759315], [-3.381678, 2.465901, 1.506306], [-1.734541, 3.053551, 1.746205], [-2.877797, 3.042441, 3.091438], [-1.955334, 0.536724, 1.630471], [-3.482657, 0.843960, 4.255453], [-2.998150, -0.693569, 3.538603], [-4.156012, 0.351219, 2.706733], [-1.675422, 2.328790, 4.881328], [0.378114, 2.424480, 6.234849], [2.387651, 1.213432, 5.513595], [3.386924, -0.277908, 4.359843], [3.063015, 0.703244, 1.506734], [4.572089, 0.050080, 2.174457], [3.855855, 1.518892, 2.844491], [2.242976, -1.936552, 2.081143], [2.153493, -2.325517, 3.801081], [3.713560, -2.206605, 2.999609], [-4.819914, -2.794641, -2.278927], [-3.716513, -3.960764, -4.137006], [-1.254518, -4.143065, -4.183479], [0.639836, -4.060032, -3.265290], [1.233897, -1.242286, -2.277808], [0.915986, -1.744858, -3.925635], [2.371405, -2.314979, -3.102364], [1.136609, -3.339842, -0.350150], [2.172168, -4.269227, -1.431056], [0.584478, -4.878809, -0.982124], [-3.152000, -0.978079, 0.448418], [-5.328264, -3.083092, 0.046687], [-5.218000, -1.945825, 1.382697], [-4.010940, -3.216944, 1.209126], [-5.658739, -1.059448, -1.276482], [-4.364421, 0.091114, -1.598907], [-5.221959, 0.114674, -0.051886], [-2.097882, -4.835583, -0.323502], [-2.709536, -6.755774, 1.118771], [-2.484143, -6.661878, 3.545113], [-1.738017, -5.238368, 5.675491], [-0.799918, -3.156748, 6.527796], [-0.136180, -1.310013, 5.015708], [-2.367477, 1.013883, -0.627844], [-1.581649, 2.152032, -1.668777], [-0.474016, 2.408046, -0.276449], [-2.577449, 3.432261, -1.220415], [-0.502747, 3.058262, -2.614769], [-2.464055, 1.611863, -3.000602], [-0.371551, 0.685061, -1.965114], [3.147024, -1.349806, -0.244552], [3.213757, -0.103874, -0.741022], [4.445049, 0.396502, -1.206476], [4.517716, 1.657496, -1.722088], [3.356435, 2.440668, -1.784541], [2.187271, 1.917880, -1.327906], [2.100104, 0.659046, -0.803156], [3.966679, -1.930222, -0.235734], [2.276625, -1.766132, 0.022830], [5.313560, -0.245487, -1.149187], [5.460671, 2.043481, -2.085274], [3.363477, 3.443726, -2.183178], [1.280551, 2.498860, -1.355855]],
>>>
• Exercise:
Filter the material above: keep the lines with the word "formula", please.
• Written answer:
  "formula": "C41H46AsF6N4Pt",